We recently interviewed David Adam, author of The Man Who Couldn’t Stop: OCD and the True Story of a Life Lost in Thought. He’s been featured in the New York Times and NPR because of his story.
Here is what you need to keep in mind when reading this interview: David Adam struggled with OCD for many, many years; his obsession was about contract HIV and it affected all areas of his life. However, he asked for help, received exposure response prevention, faced OCD, got better and wrote about it.
In this interview we get to know David as a journalist, OCD warrior, and as a person advocating for effective treatments for OCD.
What drew you specifically to OCD?
Attached: crystal structures.
~~~
# 1
## Hf3ReOs (PBE)

Data for a relaxed structure of Hf3ReOs.

For the total energy, the calculation gives -9.58 eV per atom. The value obtained for the formation energy is 1.124 eV per atom. For the relative energy among the computed polymorphs, the calculation gives 0.1343 eV per atom.

The space group is Pm-3m (No. 221) and the conventional cell measures 4.9059, 4.9059 and 4.9059 Å, with angles of 90.00, 90.00 and 90.00 degrees. The asymmetric unit holds Hf at (0.0000, 0.0000, 0.5000), Re at (0.0000, 0.0000, 0.0000) and Os at (0.5000, 0.5000, 0.5000).



# 2
## Hf4ReOs3 (PBE)

Data for a relaxed structure of Hf4ReOs3.

For the total energy, the calculation gives -11.37 eV per atom. The value obtained for the formation energy is -0.625 eV per atom.

The space group is Pmmm (No. 47) and the conventional cell measures 3.2505, 4.6148 and 9.2180 Å, with angles of 90.00, 90.00 and 90.00 degrees. The asymmetric unit holds Hf at (0.0000, 0.0000, 0.0000), Hf at (0.0000, 0.0000, 0.5000), Hf at (0.0000, 0.5000, 0.2492), Re at (0.5000, 0.5000, 0.0000), Os at (0.5000, 0.0000, 0.2518) and Os at (0.5000, 0.5000, 0.5000).



# 3
## HfReOs (PBE)

Data for a relaxed structure of HfReOs.

For the total energy, the calculation gives -11.41 eV per atom. The value obtained for the formation energy is -0.196 eV per atom.

The space group is C2/m (No. 12) and the conventional cell measures 9.6514, 4.2798 and 6.7246 Å, with angles of 90.00, 129.65 and 90.00 degrees. The asymmetric unit holds Hf at (0.0631, 0.0000, 0.3130), Re at (0.1573, 0.5000, 0.0751) and Os at (0.1650, 0.5000, 0.7070).



# 4
## Hf3ReOs (PBE)

Data for a relaxed structure of Hf3ReOs.

For the total energy, the calculation gives -9.72 eV per atom. The value obtained for the formation energy is 0.990 eV per atom. For the relative energy among the computed polymorphs, the calculation gives 0.0000 eV per atom.

The space group is Pm-3m (No. 221) and the conventional cell measures 4.9035, 4.9035 and 4.9035 Å, with angles of 90.00, 90.00 and 90.00 degrees. The asymmetric unit holds Hf at (0.0000, 0.0000, 0.5000), Re at (0.5000, 0.5000, 0.5000) and Os at (0.0000, 0.0000, 0.0000).



# 5
## HfRe3Os (PBE)

Data for a relaxed structure of HfRe3Os.

For the total energy, the calculation gives -10.05 eV per atom. The value obtained for the formation energy is 1.659 eV per atom. For the relative energy among the computed polymorphs, the calculation gives 0.0000 eV per atom.

The space group is Pm-3m (No. 221) and the conventional cell measures 4.6888, 4.6888 and 4.6888 Å, with angles of 90.00, 90.00 and 90.00 degrees. The asymmetric unit holds Hf at (0.0000, 0.0000, 0.0000), Re at (0.0000, 0.5000, 0.5000) and Os at (0.5000, 0.5000, 0.5000).



# 6
## Hf4ReOs (PBE)

Data for a relaxed structure of Hf4ReOs.
~~~
So much for the crystal structures.
“Twenty years of bitter experience of suffering from it!”
What’s unique about your book?
“I hope it does what I set out earlier – it bridges the clinical and personal and offers insight as well as expertise. And I think it achieves (but haven’t checked) one of my earlier goals: to write a book about OCD that didn’t include an exclamation mark.”
What was difficult about writing your book?
“The research. There is so much amazing history and background that just hadn’t been reported before. So I needed to decide what to keep and what to lose. And I think it was a challenge to decide where to draw the balance between the scientific and personal strands. I have been criticised both for including too much scientific detail and for not including enough – so maybe I got it about right!”
Was there any funny moment when writing your book you would like to share with us?
“Only the inevitable question when people ask “what’s it about?”. Because nobody knew I had OCD I wasn’t ready to tell them. I’m sure they believed I thought they were going to steal my idea if I told them.”
Who is this book for?
“On one level it is for me and those around me, and those who have been around me in the past. Because my experiences of OCD turn out to be pretty typical, I know a lot of people with the condition and their loved ones find it useful and interesting. And because the problem seems to stem from weird thoughts that everybody has, I hope it will appeal to anybody interested in the human mind.”
(The text is interrupted by records of crystals)
~~~
1.
This record from Alexandria via LeMat-Bulk describes PmTmBe2Si2 after structural relaxation. The functional is PBE-GGA. Values from VASP.

Results
Its crystal system is trigonal. The space group is P-3m1, No. 164. The calculation puts the formation energy (no corrections) at -0.6347 eV/atom.

Structure (Quantum ESPRESSO input):
```
&SYSTEM
  ibrav = 0, nat = 6, ntyp = 4
/
ATOMIC_SPECIES
Tm 168.93 Tm.upf
Si 28.09 Si.upf
Pm 145.00 Pm.upf
Be 9.01 Be.upf
CELL_PARAMETERS angstrom
-3.7076 1.1393 0.2083
0.8655 -3.7850 -0.1091
0.4146 -0.1399 8.1443
ATOMIC_POSITIONS angstrom
Tm 0.2073 -0.0700 4.0722
Si -1.8764 -0.6057 6.1287
Si -0.5510 -2.1800 2.1149
Pm 0.0000 0.0000 0.0000
Be -0.3519 -2.2472 6.0257
Be -2.0755 -0.5385 2.2179
```



2.
This record from Alexandria via LeMat-Bulk describes PmTmBeSi after structural relaxation. The functional is PBE-GGA. Values from VASP.

Results
Its crystal system is cubic. The space group is F-43m, No. 216. The calculation puts the formation energy (no corrections) at -0.2058 eV/atom.

Structure (Quantum ESPRESSO input):
```
&SYSTEM
  ibrav = 0, nat = 4, ntyp = 4
/
ATOMIC_SPECIES
Pm 145.00 Pm.upf
Be 9.01 Be.upf
Si 28.09 Si.upf
Tm 168.93 Tm.upf
CELL_PARAMETERS angstrom
4.9048 0.0000 0.0000
2.4524 4.2477 0.0000
2.4524 1.4159 4.0048
ATOMIC_POSITIONS angstrom
Pm 0.0000 0.0000 0.0000
Be 2.4524 1.4159 1.0012
Si 7.3573 4.2477 3.0036
Tm 4.9048 2.8318 2.0024
```



3.
This record from Alexandria via LeMat-Bulk describes Pm2Be4ZnSi3 after structural relaxation. The functional is PBE-GGA. Values from VASP.

Results
Its crystal system is tetragonal. The space group is P-4m2, No. 115. The calculation puts the formation energy (no corrections) at -0.3997 eV/atom.

Structure (Quantum ESPRESSO input):
```
&SYSTEM
  ibrav = 0, nat = 10, ntyp = 4
/
ATOMIC_SPECIES
Be 9.01 Be.upf
Pm 145.00 Pm.upf
Zn 65.41 Zn.upf
Si 28.09 Si.upf
CELL_PARAMETERS angstrom
-1.4461 3.0017 2.1016
-2.9513 -2.2932 1.2447
5.3710 -2.7638 7.6434
ATOMIC_POSITIONS angstrom
Be 0.0000 0.0000 0.0000
Be 2.6863 -0.2535 5.9026
Be 0.4860 -2.1561 3.4140
Be -2.1987 0.3543 1.6731
Pm 0.6034 0.8183 2.9385
Pm 2.5689 -3.2279 6.3781
Zn 0.4868 -1.0277 5.4948
Si 3.9468 -0.9022 7.6964
Si -0.7745 -1.5074 1.6201
Si 2.6855 -1.3819 3.8217
```



4.
This record from Alexandria via LeMat-Bulk describes PmSm2Be after structural relaxation. The functional is PBE-GGA. Values from VASP.

Results
Its crystal system is trigonal. As for the formation energy from the elements: 703 meV per atom. The space group is R-3m, No. 166. The value obtained for the offset from the most stable computed form is 604 meV/atom.

Structure (Quantum ESPRESSO input):
```
&SYSTEM
  ibrav = 0, nat = 4, ntyp = 3
/
ATOMIC_SPECIES
Be 9.01 Be.upf
Sm 150.36 Sm.upf
Pm 145.00 Pm.upf
CELL_PARAMETERS angstrom
3.5024 0.0000 0.0000
1.7512 3.0332 0.0000
1.7512 1.0111 11.6481
ATOMIC_POSITIONS angstrom
Be 0.0000 0.0000 0.0000
Sm 5.2536 3.0332 2.9226
Sm 1.7512 1.0111 8.7254
Pm 3.5024 2.0221 5.8240
```


1.
~~~
What drove you to write this book?
“After I had treatment and started to feel better, I started to think about OCD more as a journalist than a patient. And like many journalists I wanted to write a book, but had never found the right topic before.”
What advice would you give to an OCD sufferer?
Attached: records of crystals
____________
Material: Pm2TeRu
Method: DFT, GGA-PBE
State: relaxed

a b c (Å): 3.645 3.645 7.641
angles (deg): 90.00 90.00 90.00
Fractional positions:
1 Pm 0.000 0.000 0.223
2 Pm 0.000 0.000 0.777
3 Te 0.500 0.500 0.500
4 Ru 0.500 0.500 0.000

Summary:
N(E_F), states/eV/cell: 1.308
Uncorrected energy, eV per cell: -24.57
Total magnetic moment, Bohr magnetons per cell: 0.0
Energy above the most stable polymorph in this dataset, meV per atom: 0
Formation energy from raw total energies, eV per atom: -0.663

---

Material: SrSb3
Method: DFT, GGA-PBE
State: relaxed

a b c (Å): 4.298 4.298 6.539
angles (deg): 90.00 90.00 90.55
Fractional positions:
1 Sr 0.000 0.000 0.000
2 Sb 0.000 0.000 0.500
3 Sb 0.500 0.500 0.267
4 Sb 0.500 0.500 0.733

Summary:
N(E_F), states/eV/cell: 3.077
Uncorrected energy, eV per cell: -15.17
Total magnetic moment, Bohr magnetons per cell: 0.0
Formation energy from raw total energies, eV per atom: -0.281

---

Material: ZrBe2NbPt
Method: DFT, GGA-PBE
State: relaxed

a b c (Å): 4.396 4.396 4.794
angles (deg): 90.00 90.00 90.00
Fractional positions:
1 Zr 0.000 0.000 0.000
2 Be 0.000 0.500 0.500
3 Be 0.500 0.000 0.500
4 Nb 0.500 0.500 0.500
5 Pt 0.500 0.500 0.000

Summary:
N(E_F), states/eV/cell: 5.127
Uncorrected energy, eV per cell: -28.33
Total magnetic moment, Bohr magnetons per cell: 0.0
Formation energy, eV/atom: 0.757

---

Material: ErCoNi2Ge4
Method: DFT, GGA-PBE
State: relaxed

a b c (Å): 8.803 8.803 8.803
angles (deg): 26.73 26.73 26.73
Fractional positions:
1 Er 0.000 0.000 0.000
2 Co 0.500 0.500 0.500
3 Ni 0.235 0.235 0.235
4 Ni 0.765 0.765 0.765
5 Ge 0.130 0.130 0.130
6 Ge 0.400 0.400 0.400
7 Ge 0.600 0.600 0.600
8 Ge 0.870 0.870 0.870

Summary:
N(E_F), states/eV/cell: 4.836
Uncorrected energy, eV per cell: -44.25
Total magnetic moment, Bohr magnetons per cell: 0.0
Formation energy, eV/atom: -0.318

---

Material: Pr4As2S
Method: DFT, GGA-PBE
State: relaxed

a b c (Å): 8.093 8.093 7.238
angles (deg): 116.29 116.29 29.94
Fractional positions:
1 Pr 0.125 0.125 0.450
2 Pr 0.375 0.375 0.031
3 Pr 0.625 0.625 0.969
4 Pr 0.875 0.875 0.550
5 As 0.259 0.259 0.260
6 As 0.741 0.741 0.740
7 S 0.000 0.000 0.000

Summary:
N(E_F), states/eV/cell: 6.696
Uncorrected energy, eV per cell: -41.96
Total magnetic moment, Bohr magnetons per cell: 0.0
Formation energy from raw total energies, eV per atom: -1.345

---

Material: Be2BrN
Method: DFT, GGA-PBE
State: relaxed

a b c (Å): 5.444 5.444 5.444
angles (deg): 128.06 128.06 76.53
Fractional positions:
1 Be 0.375 0.234 0.359
2 Be 0.766 0.125 0.141
3 Be 0.875 0.016 0.641
4 Be 0.984 0.625 0.859
5 Br 0.250 0.750 0.500
6 Br 0.500 0.500 0.000
7 N 0.000 0.000 0.000
8 N 0.750 0.250 0.500

Summary:
N(E_F), states/eV/cell: 0.000
Uncorrected energy, eV per cell: -41.25
Total magnetic moment, Bohr magnetons per cell: 0.0
Energy above the most stable polymorph in this dataset, meV per atom: 0
Formation energy from raw total energies, eV per atom: -0.794

---

Material: Zn2InAu
Method: DFT, GGA-PBE
State: relaxed
____________
“Am I allowed to say to read my book? If not, then would simply reassure them that help is out there. It can be difficult to find and difficult to follow through with, but people do improve and they do feel better. I did.”
Why did you feel there was a need for this book?
“When I wanted to know more about OCD I found there wasn’t a book that addressed and answered the questions I had about what had happened to me. Existing books seemed to be written by clinicians and were therefore detached or they were written by patients who wanted to describe their own experiences, but didn’t really go any deeper. So I thought my book could bridge those two – offer the facts but with a personal journey attached.”
Can you describe your writing ritual?
“I am a journalist so writing is what I do. No ritual as such but I think I’m lucky because I can just pick up the laptop, do 20 minutes, and put it down again. So I tend to write where and when I can. Writing is only a small part of “writing”. Much more time goes on reading.”
How has treating or addressing OCD impacted your life?
“Like everybody else, I have good and bad days now. And that’s a whole lot better than only having bad days.”
Adam got better dealing with OCD, you can get better too.